Tuesday, April 28

Little Red Book Revisited

'''
Diffraction record for Y5Os. The XRD peak list is computed, not measured: it uses DFT lattice parameters and positions (PBE) and Cu Kα, 1.54184 Å.

Most intense lines, 2θ = 15–90°, most intense first:
| d/Å | intensity |
| --- | --- |
| 2.725 | 100.0 |
| 2.598 | 99.0 |
| 2.774 | 57.4 |
| 2.887 | 41.9 |
| 5.701 | 31.7 |
| 2.195 | 21.2 |

Crystal structure
Cell lengths 12.332, 3.560, 8.478 Å; angles 90.00, 112.41, 90.00 degrees
Space group C2/m (No. 12)
Asymmetric unit:
Y  0.000  0.000  0.000 (multiplicity 2)
Y  0.132  0.500  0.370 (multiplicity 4)
Y  0.160  0.500  0.780 (multiplicity 4)
Os  0.000  0.000  0.500 (multiplicity 2)


Diffraction record for Y6Os7. The XRD peak list is computed, not measured: it uses DFT lattice parameters and positions (PBE) and Cu Kα, 1.54184 Å.

Most intense lines, 2θ = 15–90°, most intense first:
| d/Å | intensity |
| --- | --- |
| 2.392 | 100.0 |
| 2.187 | 74.3 |
| 2.335 | 40.1 |
| 5.112 | 35.8 |
| 1.494 | 30.7 |
| 2.239 | 28.7 |

Crystal structure
Cell lengths 5.4070, 5.4070, 30.6710 Å; angles 90.00, 90.00, 120.00 degrees
Space group R-3m (No. 166, hexagonal axes)
Asymmetric unit:
Y  0.0000  0.0000  0.0528 (multiplicity 6)
Y  0.0000  0.0000  0.1513 (multiplicity 6)
Y  0.0000  0.0000  0.3360 (multiplicity 6)
Os  0.0000  0.0000  0.5000 (multiplicity 3)
Os  0.0079  0.5039  0.9050 (multiplicity 18)


Diffraction record for Y6ZnOs2. The XRD peak list is computed, not measured: it uses DFT lattice parameters and positions (PBE) and Cu Kα, 1.54184 Å.

Most intense lines, 2θ = 15–90°, most intense first:
| d/Å | intensity |
| --- | --- |
| 2.538 | 100.0 |
| 2.585 | 76.0 |
| 2.683 | 64.8 |
| 2.545 | 53.6 |
| 3.908 | 45.6 |
| 4.742 | 44.3 |

Crystal structure
Cell lengths 9.412, 9.485, 10.405 Å; angles 90.00, 90.00, 90.00 degrees
Space group Immm (No. 71)
Asymmetric unit:
Y  0.000  0.185  0.170 (multiplicity 8)
Y  0.181  0.225  0.500 (multiplicity 8)
Y  0.197  0.500  0.254 (multiplicity 8)
Zn  0.000  0.500  0.000 (multiplicity 2)
Zn  0.000  0.500  0.500 (multiplicity 2)
Os  0.000  0.000  0.380 (multiplicity 4)
Os  0.180  0.000  0.000 (multiplicity 4)


Ba5Ga6O14: calculated powder diffractogram (a wavelength of 1.5418 Å), based on a DFT-relaxed cell (GGA-PBE, the Materials Project).
Peak positions follow from Bragg's law for the DFT cell and can differ from measured ones.

Structural model:
a = 8.5477 Å, b = 8.5477 Å, c = 11.5399 Å
α = 90.00°, β = 90.00°, γ = 88.31°
Atoms (fractional coordinates):
Ba 0.0124 0.9876 0.5000
Ba 0.1873 0.5250 0.4584
Ba 0.2163 0.4762 0.0254
Ba 0.4750 0.8127 0.4584
Ba 0.4762 0.2163 0.5254
Ba 0.5238 0.7837 0.0254
Ba 0.5250 0.1873 0.9584
Ba 0.7837 0.5238 0.5254
Ba 0.8127 0.4750 0.9584
Ba 0.9876 0.0124 0.0000
Ga 0.0116 0.7136 0.7617
Ga 0.1444 0.3415 0.7410
Ga 0.1994 0.8006 0.2171
Ga 0.2864 0.9884 0.7617
Ga 0.3415 0.1444 0.2410
Ga 0.4941 0.5059 0.7396
Ga 0.5059 0.4941 0.2396
Ga 0.6585 0.8556 0.7410
Ga 0.7136 0.0116 0.2617
Ga 0.8006 0.1994 0.7171
Ga 0.8556 0.6585 0.2410
Ga 0.9884 0.2864 0.2617
'''

It's been a while since the Little Red Book was featured. A variety of pages have been completed and I'm pleased to report the Red Book literally bulges and bursts with creativity. Yes, I voted.

Beer and Biryani work well together and these two pages go to prove no opportunity to binge on the duo has been passed up.

The Black Add Gel pen is a must have.
Pigeons roost in the buildings of the apartment complex and I collect feathers on my morning walks.
That's cross -stitch. I must show you the progess I've made with the heart sampler.
Exploring negative and positive. There is a negative which I must show you.

If you are new to the Little Red Book concept then read more about this wonderful collaborative project here and here.
For more eye candy there is a little slide show of pages from the Little Red Book on the side bar of my blog and one on The Plum Tree too.
Then there is the Red Book Exchange which is an integral part of the artistic process which Priya faithfully documents and posts from time to time. It involves food, now if that whets your appetite you can get a peek of the ritual here and here.


Chris Daly said...

Maya, I love your little red book! Both your thoughts and embellishments shine!

Maya Sara Matthew said...

Thanks Chris.

Faith said...

I like your little red book - what an interesting idea! :) I absolutely agree, we should celebrate each others diversity as we are all human. Sending you many happy stitches! --- :) --- :) --- p.s. sorry if this post is repeated i am having trouble signing into wordpress and so will do it this way instead!

Malissa said...

How wonderful! When I was in grad school, I coordinated a huge journal exchange with 20 other students for one year. The results were so awesome that I presented it at the national art therapy conference that year. I know how great this kind of project can be, and I LOVE the images from yours. Looks beautiful. Thank you for sharing!

Anaka said...

The sketch with the add gel pen- I love that? I should contact you to create a screen print for me...

Maya Sara Matthew said...

Faith thanks for coming by and for all the happy stitches.Don't worry your comment didn't get repeated.

Mal co-ordinating a journal exchange with 20 others could have earned you a doctorate in logistics but I'm sure the awesome results must have made some life changing impressions on everyone involved and with all who came into contact with the project.Is any of it on the web?

Anaka I'd love to design a print for you.Thanks for visiting.

Anaka said...

Send me an email at anaka@brasstacksmadras.com so we can talk about designing a print? Thank you!

indian yarn said...

this book needs a song and a dance celebration - for the creators and the creation

ArtPropelled said...

A feast for the Eyes!!! I have been pouring over these pages, relishing all the little details. Flight path of the hummingbird is soooo amazing!The jacobean design with gel pen is gorgeous too.
